Store, data, 100years, Memory, ROM, Endurance, Data Retention, Reliability, Lifetime, Flash, High temperature
Hi guys
I'm working on a research project in wich we want embeed sensors and logic, an ESP32, inside building's pillar surrended by concrete.
The esp32 collect data throught sensors, process them and send it to a sink using Bluetooth
- The device then can be never removed or replaced once is deployed (is in the concrete pillar)
- The device is externally powered by a electrical source (cables) then power is not a constraint.
- The data communication between sensors are made using Bluetooth. We have tested that we can transmit data from inside concrete to an exteranl sink that could be a phone.
- The device do not needs to store (write on memory) datas, the devices just reads process and sends enviromental datas. The deive can use READ ONLY MEMORY ROM to store the code no data store is needed.
Since the device CANNOT be removed my concern is to provide to the project a LONG LIFE EXPENTANCY (more then 100-200years), in particular I'm concerned about the fact that the data in Flash Memory could disappear after few years (10y) due to limitated Lifetime of flash memory in particular at relativly high temperature. If the data will disapper even the code stored in the flash disapper too and the sensor will fail to achieve the its job.
** Question(s) **
- There are kinds of memories (flash on not flash), even ROM (read only memory) that are suitable to store code/data (informations) for LONG (100-200years) time without fail with a size of 4MB or more?
- If yes where i can find them, i mean where i can buy? Wich producer ecc..?
- How i can integrate these memories in the ESP32? Can i replace them to replace the flash? Is it possible to do that?
- How i can program such memories? I mean how can i "flash" these kind of memory?[/list]
I thought that i can use a PROM: form wikipedia, "A typical PROM comes with all bits reading as "1". Burning a fuse bit during programming causes the bit to be read as "0" by "blowing" the fuses, which is an irreversible process." but i can't figure out where i can start.
@@@@@@@@@@@@@@@@@@@ TO READ MORE @@@@@@@@@@@@@@@@@
Next to the text, the page also holds materials data:
<<<
Record 1
CsSeF: optimized geometry, PBE-GGA.

Geometry as POSCAR:
```
CsSeF
1.0
4.050 0.000 0.000
-2.025 8.099 0.199
0.000 -3.014 7.860
Cs Se F
2 2 2
direct
0.000 0.000 0.500 Cs
0.000 0.000 0.000 Cs
0.285 0.570 0.568 Se
0.715 0.430 0.432 Se
0.507 0.015 0.253 F
0.493 0.985 0.747 F
```

Summary:
E: -3.671 eV/atom
total magnetic moment: 0.00 μB per formula unit
ΔE to the lowest computed polymorph: 0.174 eV/f.u.
E_form (uncorrected): -1.60 eV per atom
volume: 43.373 Å³ per atom
DOS at the Fermi energy: 0.89 states/eV/cell
space-group type: C2/m (12)
crystal system: monoclinic

Record 2
SrScIn2: optimized geometry, PBE-GGA.

Geometry as POSCAR:
```
SrScIn2
1.0
6.508 0.009 -0.017
3.246 5.640 0.017
-4.346 -3.742 3.077
Sr Sc In
1 1 2
direct
0.239 0.739 0.500 Sr
0.514 0.514 0.000 Sc
0.768 0.268 0.500 In
0.979 0.979 0.000 In
```

Summary:
E_form: -187 meV per atom
E: -3.560 eV/atom
total magnetic moment: 0.00 μB per formula unit
volume: 28.258 Å³ per atom
DOS at the Fermi energy: 4.43 states/eV/cell
space-group type: Imm2 (44)
crystal system: orthorhombic

Record 3
Sr5Ag: optimized geometry, PBE-GGA.

Geometry as POSCAR:
```
Sr5Ag
1.0
4.102 0.000 0.000
0.000 4.102 0.000
0.000 0.000 16.355
Sr Ag
5 1
direct
0.000 0.000 0.886 Sr
0.500 0.500 0.307 Sr
0.000 0.000 0.114 Sr
0.000 0.000 0.500 Sr
0.500 0.500 0.693 Sr
0.500 0.500 0.000 Ag
```

Summary:
E_form: -85 meV per atom
E: -1.962 eV/atom
total magnetic moment: 0.00 μB per formula unit
ΔE to the lowest computed polymorph: 0.000 eV/f.u.
volume: 45.864 Å³ per atom
DOS at the Fermi energy: 5.85 states/eV/cell
space-group type: P4/mmm (123)
crystal system: tetragonal


DFT (PBE) results for crystalline LaSmNi4 at its relaxed geometry.

Calculated values
E: -0.4256 Ry/atom
Energy of formation: -0.33 eV/atom
DOS at the Fermi energy: 7.09 states/eV/cell
Excess energy over the best structure of this formula in the dataset: 8 meV/atom

```
LaSmNi4
1.0
-3.293 0.453 -2.042
1.263 -2.812 -2.662
-3.083 -5.035 3.856
Ni La Sm
4 1 1
direct
0.498 0.997 0.834
0.499 0.497 0.329
0.499 0.997 0.162
0.498 0.497 0.668
0.999 0.997 0.498
0.999 0.497 0.998
```


[1]
This record from OQMD via LeMat-Bulk describes a relaxed Zr2IrPt crystal. The functional is GGA-PBE.

Output
Its space group is F-43m (216). The value obtained for the raw total energy is -8.605 eV/atom. The calculation puts the formation energy at -0.604 eV per atom.

abc: 4.637 4.637 4.637
angles: 60.00 60.00 60.00
Atoms (fractional coordinates):
Zr (0.000, 0.000, 0.000)
Pt (0.500, 0.500, 0.500)
Zr (0.750, 0.750, 0.750)
Ir (0.250, 0.250, 0.250)

=====

[2]
This record from OQMD via LeMat-Bulk describes a relaxed MgAg crystal. The functional is GGA-PBE.

Output
Its space group is P-6m2 (187). The value obtained for the raw total energy is -2.300 eV/atom.

abc: 5.952 5.952 4.828
angles: 90.00 90.00 120.00
Atoms (fractional coordinates):
Ag (0.335, 0.167, 0.500)
Mg (0.333, 0.667, 0.500)
Ag (0.833, 0.665, 0.500)
Ag (0.833, 0.167, 0.500)
Mg (0.997, 0.499, 0.000)
>>>
Despite the forum user irony I found that companies pay attention to the problem of data retention.
In the above documents is shown that at 25°c flash memory can have a data retention >100y
The document listed above states "In the data sheets of MSP430 devices, data retention is specified to exceed 100 years at 25°C (see Table 1). This value is industry accepted and all vendors specify 100 years as the flash data retention duration at 25°C, despite it being extremely conservative. "
@@@@@@@@@@@@@@@@@@@ MY COMMENTS @@@@@@@@@@@@@@@@@
I'm very annoyed form the fact that i received about 20 repies and none of that were focused to try to solve the problem or improve the described solution. Seems that none has read entierly my post and users started to give me unuseful and annoyng replies such "user graffiti or punched board or even paper" others tried to subvert the problem breaking the conditions (conditions are like axioms in a theorem) other tried to state that humans won't be able to survive in 200y. No serious or well argumented replies was given.
I see that many ppl misunderstood the goal that is "how to store executable code (that is a subclass of data) for long time" and confused with "how to store informations for long time" because these ppl did not read my post.